Enchanted Lake Residents Association Board of Directors Zoom Meeting Minutes
Tuesday, February 8, 2022
Conducted via Zoom: Present: D. Young, J. Bean, G. Colbert, M. Compton, G. Gustavson, L. Jenks, M. Novack, A. Richardson, F. Tannen, C. Turner, and M. Spencer (Administrative Assistant).
Absent: D. Dawson, and D. Medeiros
Guests: Kenneth Onion and Bob Bourke
The meeting was called to order by D. Young, President, at 7:03 pm. A quorum was declared.
Guest: Kenneth Onion was introduced. He owns property on the flank of Mount Olomana, facing the Lake and was the recipient of one of the letters sent to upslope neighbors citing ELRA’s concern about runoff flowing into the lake.
Onion stated that he and many of his neighbors are aware of the runoff situation and are interested in working to find solutions. He, personally, has already spent considerable time and money trying to ameliorate the problems on his land. He stated that he believes much of the runoff is originating high on Olomana and is flowing through badly compromised culverts to the Lake. He also stated that it appears the culvert design and construction was based on having the runoff go directly to the Lake. Further, that many, if not all, of the existing culverts are damaged or completely collapsed. He also cited the existence of numerous mountain bike and motor bike trails in the undeveloped areas of the mountain. These, he believes, contribute to the runoff.
Onion believes that many of his neighbors are interested in working together to improve the situation and that he is interested in working with ELRA to find solutions. He encouraged working together and speaking with one voice.
Discussion followed as to which part of the government, City and County, State, Federal was responsible for the culverts and for the land upslope of the developed areas.
Guest: Bob Bourke stated that he and Hugo DeVries had walked the areas in question several times and agreed that many of the culverts are collapsed. He also agreed that the various bike trails, up mountain, contributed to the runoff. Bourke believes that much of the land upslope of the developed area is owned by an off-island company who does not monitor the trail building.
Closer to the peak, Bourke believes that land is owned by Department of Land and Natural Resources (DLNR). He suggested Onion consult the Honolulu Geographic Information System (GIS) map system, also his property’s Covenants, Conditions, & Restrictions (CC&R) for specifics on the culvert system.
Discussion then moved to the bike trails. G. Colbert stated that he believed the off-island owner of the property might have allowed the bike trails. M. Compton stated that these trails were well known in the biker community and had even appeared in a national magazine. B. Bourke stated the trails built by the mountain bikers are well constructed and maintained. There was agreement that it might be in the community interest to try to stop the building of new ones and reduce some of the existing ones.
2-1 TASK: Contact local mountain and motor bike clubs to seek cooperation concerning trails. Consider writing letter to private owner making them aware of the impact of the trails on down slope homes and Lake. ** To be determined
Young agreed that there may be an opportunity for unity between the upslope landowners, wetland owners, and ELRA. He described some possible steps forward:
- Invite Ken to Levani’s Pollution of Kailua Waterways and Beaches Committee
- Ken to research property codicils
- Check USGS Site for gauge
- Contact Lisa Marten (State House District 51) to alert her to collapsed drainage pipes; agreement for upland and pond homeowners to collaborate on requesting repairs; for contact and assistance of Trail Bikers with whom she works for possible collaboration
- Contact Esther Kia’aina (City Council District 3) regarding collapsed drainage and pipes agreement of upland and pond homeowners to collaborate on requesting repairs
Guests Departed.
Minutes: The draft Minutes for January 2022 had been circulated via email prior to the meeting. Following a brief discussion, G. Gustavson moved approval and F. Tannen seconded the motion that the Minutes be approved. M. Compton abstained since he was not present at the meeting. The remaining members approved the report unanimously.
Finance: Gustavson had provided via email the monthly comparison report of January 2022 receipts and expenses, as compared to the Budget approved for FY 2021-2022. Both receipts and expenses are tracking our budget pretty closely. We have received $35,609.60 from the Assessed Lots, up from $34,682 in December 2021. Additionally, we have received $1890.22 in late fees, up from $1724.00 in December 2021. These are primarily a result of our delinquency letters mailed this month. There were no significant expenses in December.
[Here the page breaks off for molecular data]
-- begin --
1.
Below is a structure of composition C28H22Cl4InN8O3Te, with properties calculated with ωB97M-V with the def2-TZVPD basis set.

XYZ file:
```
67
Properties=species:S:1:pos:R:3:forces:R:3
In -0.545260 0.531617 0.793806 -0.72 -0.60 -0.74
C 6.261631 0.363940 0.888667 0.09 -0.53 -0.11
N 5.229982 0.036901 -0.094862 -0.04 0.46 0.26
C 3.938272 -0.252420 0.102348 -0.12 -0.09 -0.15
N 3.351430 -0.544102 -1.042194 0.07 0.10 -0.09
C 4.371544 -0.409037 -1.937678 -0.22 0.05 0.22
N 5.515666 -0.047944 -1.403340 0.19 -0.15 -0.13
C 7.036166 -0.886782 1.273497 -0.18 0.07 0.16
C 8.414877 -0.945887 1.159235 -0.01 0.14 0.00
C 9.100706 -2.109401 1.487603 0.12 -0.01 -0.02
C 8.415946 -3.232044 1.903234 -0.21 -0.10 0.07
C 7.025074 -3.176700 2.025652 0.12 0.02 -0.05
C 6.347802 -2.006557 1.734231 0.13 0.22 -0.21
C 6.280002 -4.368393 2.404557 -0.53 -0.18 0.16
N 6.713865 -5.472607 2.898966 0.57 0.24 -0.15
N 5.645572 -6.318174 3.008620 -0.56 -0.26 0.18
C 4.606867 -5.667759 2.604617 0.22 0.07 -0.23
O 4.922045 -4.406731 2.207519 0.26 -0.06 -0.04
C 3.244019 -6.175615 2.449262 -0.43 0.48 -0.25
C 2.931397 -7.402628 3.019172 0.27 0.08 -0.02
C 1.671909 -7.934158 2.840024 -0.06 -0.32 0.14
C 0.722539 -7.251837 2.111330 -0.32 0.15 -0.09
C 0.998567 -6.008037 1.552880 0.55 0.33 0.04
C -0.130979 -5.351341 0.776726 0.15 -0.26 -0.05
N 0.110768 -4.000761 0.315684 0.22 0.29 0.47
C -0.020110 -2.898613 1.051477 -0.27 -0.26 0.36
N 0.383813 -1.851159 0.374914 0.32 0.78 -0.47
C 0.772169 -2.380836 -0.826315 -0.18 -0.36 0.04
N 0.623606 -3.687569 -0.890439 0.13 0.32 -0.03
C 2.274833 -5.458205 1.714566 -0.09 -0.56 0.27
H 5.765361 0.811153 1.750866 -0.01 -0.04 -0.01
H 6.926318 1.103273 0.448380 -0.06 0.01 -0.05
H 3.457766 -0.252323 1.067431 0.10 0.02 0.08
H 4.253673 -0.575056 -2.995197 0.05 0.02 -0.02
H 8.961354 -0.079746 0.806165 0.01 -0.01 -0.02
H 10.177660 -2.143710 1.392867 0.00 0.01 -0.02
H 8.924100 -4.161651 2.119437 0.04 0.03 0.02
H 5.273708 -1.990418 1.829805 -0.17 0.04 0.00
H 3.691157 -7.930421 3.579505 -0.01 0.00 0.00
H 1.425954 -8.895203 3.272729 0.01 0.02 -0.01
H -0.263257 -7.685146 1.978619 0.02 0.00 0.00
H -1.017488 -5.294243 1.408160 -0.06 -0.15 -0.05
H -0.352548 -5.968502 -0.092537 -0.14 0.15 -0.07
H -0.435833 -2.888946 2.047122 0.04 -0.09 -0.01
H 1.155510 -1.793532 -1.640938 0.08 -0.01 0.04
H 2.543731 -4.507694 1.270822 -0.05 0.01 -0.03
Cl -7.077835 -2.041666 -0.243955 -0.03 -0.02 0.05
C -5.733911 -0.997511 -0.167089 0.00 0.14 0.03
C -5.956626 0.430352 -0.160864 0.07 -0.12 0.00
Cl -7.557904 1.012882 -0.143680 -0.01 0.00 -0.02
C -4.902848 1.302900 -0.167719 0.10 0.05 -0.30
Cl -5.153556 3.000197 -0.217061 0.01 0.04 0.07
C -3.556281 0.826855 -0.214749 -0.39 -0.52 0.23
O -2.536805 1.559340 -0.198285 0.62 0.27 0.25
C -3.332507 -0.632717 -0.154842 -0.56 0.45 0.13
O -2.149709 -1.030853 -0.069467 0.74 0.15 0.36
C -4.466441 -1.502123 -0.121131 0.12 -0.11 -0.28
Cl -4.160081 -3.190516 -0.130668 0.03 0.01 0.08
C 1.131863 5.057988 0.829281 0.06 -0.27 0.01
-- stop --
[The page goes on]
On January 10th, a check was received from Title Guarantee Escrow Services for $250,577.64. This represents the $250,000.00 held in escrow from our settlement, less fees and including interest. With this payment, all of the funds provided in the settlement have been received.
The final Payment to Lyons, Brandt was made for their services throughout the litigation and settlement.
G. Gustavson expressed his thanks to Alan Richardson and Adam Bookatz for their continued support of the ELRA finances.
M. Novack moved acceptance and F. Tannen seconded the motion that the Finance Report be accepted, subject to audit. By show of hands, the Report was unanimously accepted.
Report from the Kailua Neighborhood Board (KNB): Quorum declared by President Hicks and meeting began at 7:02 pm. Announced KNB Secretary position is vacant and asked for a volunteer. Kelli Ann Kobayashi volunteered and ultimately elected as Secretary of KNB.
Public Agencies:
Various public agencies gave reports and updates.
• MCBH announced back gate to be closed starting January 31st for 5 months. Additionally, the Blue Angels Air show will be held at MCBH August 13 & 14 this summer.
• The Mayor’s office representative spoke of Olomana Trail and Maunawili areas get lots of rescue calls. City is considering posting signage re: dangers regardless if State of private property.
Board Member Weller complained to Mayors rep that the two streams that border Kapaa Quarry road are not receiving clearing and maintenance from City. These streams overflow after heavy rains and made the roadway dangerous. Asked who to call during water emergencies. Mayors Rep indicated 9-1-1 was the number to call but acknowledged that during emergencies the City’s Ops Center which houses Fire and DFM gets inundated with these calls. Member Weller commented that City needs to get out in front, by doing regular clearing/maintenance. (This issue flows into Board business Motion mentioned later).
Elected Officials:
The majority spoke of the Red Hill Water contamination issue and their disappointment with the Navy’s response and appeal.
Several also spoke of the Kaelepulu Berm opening/response of January 1; all support the KNB Motion to be put forth tonight (See below). Also acknowledged the structural problems with the Boat Ramp at Kailua Beach and efforts going into the future remedy. Council member Esther Kia’aina stated that she will be taking the new Director of the Dept. of Facilities Maintenance (DFM), Dawn Szewczyk, to the Kaelepulu Berm and the Boat Ramp sites.
MOTION: Kaelepulu Berm: It is recognized that the Kaelepulu Berm must be opened as needed to prevent flooding when heavy rainfall is predicted by the National Weather Service. On January 1, 2022 the berm was opened by the City and County of Honolulu (C&C) after residents first started to open it and then C&C finished the job, however it was opened so wide that hazardous conditions developed including excessive current and the movement of adjacent ironwood trees The Kailua Neighborhood Board (KNB) requests that C&C inform the KNB of its policy of how the berm opening should be excavated and when this should be done. If no policy currently exists, request one be created and shared so that the bulldozer operator knows how and when to open it to prevent hazards to the public. Motion Passed.
Several community members added that the Berm plan should include clean up after the opening to remove all the debris resulting from the opening. One person mentioned that several tree trunks/large limbs and a dock from upstream had ended up in the ocean or on the beach which posed a hazard.
MOTION: KNB supports revised skatepark hours. Kailua District Park public skatepark hours to be changed to 8AM to 8PM. Motion Passed
KDP is currently open from 5 AM until 10 PM every day; the skatepark is currently open from 7 AM until 7 PM every day; other sections of KDP, including the tennis courts and volleyball courts, are currently open to the public and illuminated until 9:45 PM; the peak hours of the skatepark are 4 PM to 7 PM which causes skateboarders to overflow into the nearby sections of KDP; there have been requests from members of the skating community of Kailua to extend the opening hours and the illumination period for the skatepark; Whereas, some neighbors have expressed concern to the Kailua Neighborhood Board regarding the noise of the skatepark both early in the morning and later at night, which is located across the street from several homes; and there has been conversation and dialogue between members of the skating community and the adjacent neighbors to find an optimal modification of the hours of the skatepark, which they have agreed to as 8 AM to 8 PM.
Oneawa St. sewer upgrade by Frank Camacho, Community Planning and Engineering, Inc.
Sewer repair work to take place on Oneawa St between Kawainui and Kainui streets. They plan on working at night 8pm – 6am, via manhole access (no street excavation). Currently in design phase.
Community Member Announcement:
The Mid-Pacific Runners Club has two races coming up soon that will start early morning at KDP and route thru Enchanted Lakes ending at KDP, approximately 200 runners involved in each.
KNB adjourned at approximately 11:30 pm.
Communications Log: D. Young had shared his log prior to the Meeting. As part of the report on Communications, D. Young thanked C. Turner for the training that she had provided members of the Executive Committee that will allow certain members to issue E-Mails to the ELRA Community. This is an important tool during times of weather emergencies.
Filling Vacant Positions: M. Novack again reminded the Board that we now have two vacancies. Consistent with the Bylaws, the Board can fill these vacancies without a vote by all the ELRA members, understanding that the individual will stand for election at the next Annual Meeting. Novack suggested that finding someone with expertise in the Law or Engineering would be helpful.
M.Novack recognized that C. Turner was working on a newsletter about the 1 Jan weather events and suggested that a solicitation for new members of the Board be included in the newsletter
2-2 TASK: Include vacant position information in upcoming newsletter. ** M. Novack and C. Turner. ** COMPLETE
Committee Reports:
Dredging Committee: Dredging Committee: G. Colbert reported that he and D. Young had participated in a Zoom Meeting on 8 Feb 22 with several individuals concerning the use of the Hawaii Youth Corrections Facility (HYCF) land on Olomana. The participants were:
- Lila King, Special Assistant to Director, Dept. of Human Services (DHS)
- Mark Patterson, HYCF, Head of Operations
- Darrell Bueno, HYCF, Head of Facilities
- Don Young, President ELRA
- Greg Colbert, ELRA Dredging Committee
- Jordan Moniuszko, Oceanit
- Sterling Yee, Oceanit
These meetings will continue each Tuesday, into the future, so long as is necessary.
Of note from the meeting: The land in question is really owned by the Department of Land and Natural Resources (DLNR), not the Hawaii Youth Correctional Facility (HYCF) as previously thought. The “nutrient-rich soil” is being treated as a gift.
New questions have now arisen, such as: Can the HYCF act in lieu of the DLNR to accept the soil based on any prior documentation of their land stewardship responsibilities? If so, can the HYCF go to the Land Board, not to ask permission, but to provide a briefing? Do they now need an Environmental Assessment? Can the HYCF (via DHS direction) maintain stewardship of the entire process without need of additional/subsequent approvals from DLNR?
The issue of indemnification remains unresolved. Peggy Leong is writing up all the indemnification clauses. Colbert requests ELRA see them as soon as possible.
Other thoughts relating to dredging were:
- G. Colbert discussed the possibility of a farmer in Waimanalo making use of the soil. He will follow up on that lead.
- Can we contact various Agricultural Organizations to see if someone can use the soil? – (Colbert has volunteered as he is a USDA certified farmer, but this action is still on hold while we further gage progress with HYCF)
- Will ELRA require an attorney to review emerging documents?
- B. Bourke suggested using the dredged soil to create an island in the center of the lake.
D. Young thanked G. Colbert for a comprehensive summary.
Membership Committee: There was no report from the Membership Committee.
Operations Committee: M. Compton reported that there have been complaints about noise on the lake in the very early morning. It was agreed that the noise was coming from canoe club paddlers who are not abiding by the Lake Rules, stating they cannot be on the lake before sunrise.
2-3 TASK: Write letter to Canoe Clubs reminding them of lake rules** D. Young**COMPLETE
NOTE: Email determined that the paddlers did not belong to any of the Canoe Clubs. Those who lent canoes to a HS, have reminded the paddlers of lake rules.
M. Compton noted that the lake was looking good and that the fish were very active.
He has observed more electric boats on the lake. This is a good development for the environment. Compton suggested that sometime in the future, electric boats might be given a discount of their lake-sticker costs.
Environment Committee:
Water Quality Testing Program: L. Jenks reported that she had met with D. Esibill via Zoom and he provided nutrient data collected after the Dec storms. There were two storms in early December that caused the ground to be saturated. He did his sampling on 12/08/21 and again on 12/21/21. The take-home-points were that the levels of nutrients (nitrogen, phosphorus, chlorophyll-a, silicates, ammonia, etc) go down as you measure them from the wetlands to the ocean. This means that the wetland, pond and stream are functioning as they naturally should, and that the nutrients are being transformed as they move from upland runoff to the ocean. This is really good news, in that the lake/ pond is doing a pretty good job of cleaning the water. The other piece is that enterococci levels are high at the uplands/ wetlands, and trend down as they are measured towards the ocean. This suggests that most of the enterococcus is probably from runoff, birds, etc, and not from human contamination or some inherent problem with the lake. Again, good news. It was suggested having Esibill speak to the Board at the March Meeting.
TASK 2-4: Invite Derek Esibill to speak to the Board at the March Meeting** D. Young ** COMPLETE
Storm Drain Marking: L. Jenks reported that she will be marking some storm drains on the coming weekend (11 Feb and 12 Feb) and encouraged Board members to come out and help.
General Discussion: F. Tannen announced she would be off-island for the next two months, but that she would be able to attend the Zoom meetings. She also said that she is a member of a local Rotary Club and that the Club might have an interest in helping.
C. Turner announced she is working to collect information and evidence of the lack of appropriate BMPs in certain hill-top construction areas. This has been an ongoing problem.
G. Colbert stated that he had noticed large amounts of cut-grass being left behind along the slopes of the various canals and ditches along Keolu after trimming. This grass then makes its way into the lake. G. Gustavson agreed, having seen the same problem along the canal at the side of his house.
2-5 TASK: Write a letter requesting the grass cut along canals by C&C be collected after it is cut to prevent it from being washed into the Lake** D. Young
NOTE: It was agreed to delay writing the letter until photos can be provided
Next Meeting Date: The next Board meeting will take place by Zoom on Tuesday, March 8, 2022 at 7pm. The next KNB meeting will be March 3, 2022. L. Jenks is scheduled to attend.
Adjournment: F. Tannen moved adjournment, which was seconded by G. Colbert. The affirmative vote was unanimous. The meeting adjourned at 9:05 pm.
Respectfully submitted
M. Novack
Tasks from previous months still needing to be completed.
1-2 TASK: Send USPS Letter to residents living along and near the Kaelepulu Canal, offering them the opportunity to have access to ELRA Emergency Announcements ** M. Novack
1-3 TASK: Board member to visit ELRA Members who are in arrears in their assessments ** G. Colbert.